List of municipalities of Denmark (1970–2006)
Until December 31, 2006, Denmark was divided into 13 counties (amter), and 270 municipalities (kommuner). See List of municipalities of Denmark for the subdivision into 5 regions and 98 municipalities from January 1, 2007. The easternmost land in Denmark, the small Ertholmene archipelago, area 39 hectares (0.16 square miles), normally only mentioned by the name of its largest islet, Christiansø, which lies 11 miles (18 kilometers) to the northeast of Bornholm, was and is not part of a municipality or county or region but was and still is administered by the Ministry of Defence. Its population was 90 (January 1, 2014).
Municipal seat is indicated if the name differs from the name of the municipality.
Århus Amt (Århus County, seat: Århus)
In 1948, Aa was changed to Å. Aarhus municipal council and Aarhus county chose to use the letter Å instead of Aa, but it was optional for counties or municipalities or cities/towns whether they would keep or change the original spelling from before 1948. From January 2011, four (4) years after the counties were abolished, the politicians in the municipality chose to return to the original spelling Aa instead of Å. But the county of Århus from 1948 until it was abolished 1 January 2007 and the municipality Århus and city Århus from 1948 until 2010 was spelled Århus, and from January 2011 Aarhus again. Å (in capital) or å (in minor) and Aa/aa, where it is part of one word is placed as the last letter in the Danish alphabet, after the letters Æ/æ and Ø/ø, alas Æ/æ,Ø/ø,Å/å- as (part of) a whole word also AA/aa(In Sweden, the order of the last 3 letters is Å/å,Ä/ä,Ö/ö, in Norway Ø/ø,Æ/æ,Å/å). So Aarhus and Århus is placed last, i.e. in a list, directory or encyclopedia in the Danish language.
Bornholms Amt (Bornholm County (1662-2002), seat: Rønne)
Bornholm County, which had existed since 1662, when it replaced Hammershus Len, was abolished as of Wednesday 1 January 2003, after the voters decided this in a referendum on the island on Tuesday May 29, 2001. This brought the number of counties down to 13, which were all abolished as of 2007. It was merged with the municipalities on the island to form one municipality, Bornholm Regional Municipality. This merger was not a part of the structural reform that merged most of Denmark's municipalities and other entities in the public sector a few years later. From 2003-2006 (4 years) it also had the responsibilities of a county, after that becoming part of Region Hovedstaden. The 5 municipalities that existed from 1970 until 2002 were:
Frederiksberg Kommune (Frederiksberg Municipality, seat: Frederiksberg)
Frederiksberg Municipality was never a part of a county. Instead, it also held county privileges. But after 1 January 2007 it has lost its county privileges and is part of Region Hovedstaden.
Frederiksborg Amt (Frederiksborg County, seat: Hillerød)
Fyns Amt (Funen County, seat: Odense)
- Assens Municipality
- Bogense Municipality
- Broby Municipality (seat: Nørre Broby)
- Egebjerg Municipality (seat: Ollerup)
- Ejby Municipality
- Faaborg Municipality
- Glamsbjerg Municipality
- Gudme Municipality
- Haarby Municipality
- Kerteminde Municipality
- Langeskov Municipality
- Marstal Municipality (merged with Ærøskøbing m. 1 January 2006 to form Ærø m.)
- Middelfart Municipality
- Munkebo Municipality
- Nyborg Municipality
- Nørre Aaby Municipality
- Odense Municipality
- Otterup Municipality
- Ringe Municipality
- Rudkøbing Municipality
- Ryslinge Municipality
- Svendborg Municipality
- Sydlangeland Municipality (seat: Humble)
- Søndersø Municipality
- Tommerup Municipality
- Tranekær Municipality (seat: Tullebølle)
- Ullerslev Municipality
- Vissenbjerg Municipality
- Ærøskøbing Municipality (merged with Marstal m. 1 January 2006)
- Ørbæk Municipality
- Årslev Municipality
- Aarup Municipality
Københavns Amt (Copenhagen County, seat: Glostrup)
The borders of Copenhagen County surrounded the municipalities of Copenhagen and Frederiksberg but did not include them.
Københavns Kommune (Copenhagen Municipality, seat: Copenhagen)
Copenhagen Municipality was not part of a county. Instead it held county privileges of its own. But these privileges were lost when the municipality became part of Region Hovedstaden January 1, 2007.
Nordjyllands Amt (North Jutland County, seat: Aalborg)
Ribe Amt (Ribe County)
Ringkjøbing Amt (Ringkjøbing County, seat: Ringkøbing)
- Avlum-Haderup (seat: Avlum)
- Brande
- Egvad (seat: Tarm)
- Herning Municipality
- Holmsland (seat: Hvide Sande)
- Holstebro Municipality
- Ikast
- Lemvig
- Ringkøbing
- Skjern
- Struer Municipality
- Thyborøn-Harboør (seat: Thyborøn)
Materials data from another source follow:
This entry pairs a crystal structure of MgV8O8F8 with its simulated powder XRD pattern. Radiation: Cu Ka. Structure: a crystal structure in the Materials Project, relaxed with PBE+U.
No peak broadening, texture or thermal motion is included.

The 6 most intense peaks (2θ = 10–90°), low angle first:
- 25.27°, intensity 100, (-1 1 1)
- 26.70°, intensity 92, (1 1 1)
- 34.17°, intensity 27, (1 1 -3)
- 34.27°, intensity 27, (0 2 -2)
- 51.91°, intensity 37, (-2 2 2)
- 52.41°, intensity 36, (1 3 -1)

Lattice parameters (Å, degrees): 4.9182 5.7278 10.4962 96.01 91.06 92.83
Element x y z (fractional)
Mg 0.0000 0.0000 0.0000
V 0.0155 0.1291 0.3434
V 0.4772 0.1131 0.8330
V 0.4902 0.3645 0.6003
V 0.4947 0.8829 0.1132
V 0.5159 0.6378 0.3730
V 0.9708 0.5949 0.8495
V 0.9787 0.4319 0.1178
V 0.9983 0.8721 0.6000
O 0.1722 0.1004 0.1696
O 0.2898 0.0890 0.6591
O 0.3014 0.3570 0.4243
O 0.3018 0.8346 0.9306
O 0.6830 0.4001 0.7689
O 0.6874 0.9060 0.2811
O 0.6904 0.6557 0.5381
O 0.8038 0.6942 0.0232
F 0.1460 0.3132 0.9280
F 0.1830 0.5933 0.6787
F 0.1827 0.8460 0.4231
F 0.3278 0.5999 0.1904
F 0.6693 0.1776 0.0285
F 0.8031 0.4155 0.2931
F 0.8085 0.1442 0.5221
F 0.8288 0.9088 0.7880



This entry pairs a crystal structure of Na2LiMnPCO7 with its simulated powder XRD pattern. Radiation: Cu Ka. Structure: a crystal structure in the Materials Project, relaxed with PBE+U.
No peak broadening, texture or thermal motion is included.

The 6 most intense peaks (2θ = 10–90°), low angle first:
- 10.02°, intensity 100, (0 1 0)
- 26.02°, intensity 75, (2 0 0)
- 32.97°, intensity 42, (2 -2 0)
- 33.08°, intensity 29, (2 1 -2)
- 33.25°, intensity 36, (2 2 0)
- 35.16°, intensity 48, (0 0 4)

Lattice parameters (Å, degrees): 6.8484 8.8298 10.2114 91.08 90.03 90.42
Element x y z (fractional)
Na 0.0000 0.0000 0.0000
Na 0.0005 0.0012 0.4992
Na 0.2562 0.8287 0.7478
Na 0.5006 0.0005 0.4988
Na 0.5018 0.4880 0.2498
Na 0.5034 0.4890 0.7490
Na 0.9970 0.4885 0.7490
Na 0.9994 0.4881 0.2490
Li 0.2549 0.8326 0.2469
Li 0.4725 0.0173 0.0121
Li 0.7410 0.6585 0.9994
Li 0.7500 0.6533 0.4977
Mn 0.2498 0.3883 0.0120
Mn 0.2509 0.3852 0.5132
Mn 0.7468 0.1019 0.2334
Mn 0.7483 0.1052 0.7381
P 0.2491 0.1484 0.2686
P 0.2544 0.1534 0.7730
P 0.7456 0.3380 0.9779
P 0.7508 0.3392 0.4769
C 0.2506 0.6859 0.4853
C 0.2599 0.7001 0.9985
C 0.7501 0.7946 0.2604
C 0.7496 0.7957 0.7614
O 0.0653 0.0532 0.2294
O 0.0678 0.0608 0.7352
O 0.2493 0.3157 0.7165
O 0.2487 0.8305 0.4649
O 0.2501 0.6045 0.8989
O 0.2506 0.3085 0.2086
O 0.2518 0.5918 0.3863
O 0.2515 0.6323 0.6035
O 0.2516 0.6493 0.1171
O 0.2548 0.1699 0.4209
O 0.2678 0.1688 0.9262
O 0.2766 0.8439 0.9781
O 0.4270 0.0509 0.2223
O 0.4325 0.0619 0.7224
O 0.5694 0.4393 0.0191
O 0.5705 0.4355 0.5181
O 0.7323 0.1753 0.0352
O 0.7459 0.9000 0.3523
O 0.7472 0.9011 0.8526
O 0.7482 0.3197 0.8256
O 0.7493 0.3153 0.3249
O 0.7495 0.8320 0.6379
O 0.7519 0.1800 0.5393
O 0.7518 0.6549 0.2948
O 0.7517 0.6558 0.7964
O 0.7520 0.8326 0.1376
O 0.9321 0.4267 0.0222
O 0.9324 0.4365 0.5173

* * * * *
- Thyholm (seat: Hvidbjerg)
- Trehøje
- Ulfborg-Vemb (seat: Ulfborg)
- Videbæk
- Vinderup
- Åskov (seat: Kibæk)
Roskilde Amt (Roskilde County)
Storstrøms Amt (Storstrøm County, seat: Nykøbing Falster)
- Fakse
- Fladså (seat: Mogenstrup)
- Holeby
- Holmegård (seat: Fensmark)
- Højreby (seat: Søllested)
- Langebæk
- Maribo
- Møn (seat: Stege)
- Nakskov
- Nykøbing Falster
- Nysted
- Næstved
- Nørre Alslev
- Præstø
- Ravnsborg (seat: Horslunde)
- Rudbjerg (seat: Tillitse)
- Rødby
- Rønnede
- Sakskøbing
- Stevns (seat: Store Heddinge)
- Stubbekøbing
- Suså (seat: Glumsø)
- Sydfalster (seat: Væggerløse)
- Vordingborg
Sønderjyllands Amt (South Jutland County, seat: Aabenraa)
- Augustenborg
- Bov
- Bredebro
- Broager
- Christiansfeld
- Gram
- Gråsten
- Haderslev
- Højer
- Lundtoft (seat: Kliplev)
- Løgumkloster
- Nordborg
- Nørre Rangstrup (seat: Toftlund)
- Rødding
- Rødekro
- Skærbæk
- Sundeved (seat: Avnbøl)
- Sydals (seat: Høruphav)
- Sønderborg
- Tinglev
- Tønder
- Vojens
- Aabenraa
Vejle Amt (Vejle County)
- Brædstrup Municipality
- Børkop Municipality
- Egtved Municipality
- Fredericia Municipality
- Gedved Municipality
- Give Municipality
- Hedensted Municipality
- Horsens Municipality
- Jelling Municipality
- Juelsminde Municipality
- Kolding Municipality
- Lunderskov Municipality
- Nørre-Snede Municipality
- Tørring-Uldum Municipality (seat: Uldum)
- Vamdrup Municipality
- Vejle Municipality
Crystal structures that have nothing to do with the piece.
- - -
(1)
The following is a calculated PXRD pattern of SrPr5Tl5. It was derived from a cell relaxed with PBE, using Cu Kα.
Kinematic intensities with the Lorentz-polarization factor, no thermal factor.

Structure:
Unit cell a=16.5958 b=6.1725 c=7.5522 alpha=90.00 beta=100.11 gamma=90.00
Space group C2/m (No. 12)
Symmetry-distinct sites (fractional):
Sr 0.0000 0.0000 0.0000 x2
Pr 0.0000 0.0000 0.5000 x2
Pr 0.1324 0.5000 0.3994 x4
Pr 0.1775 0.5000 0.9023 x4
Tl 0.0000 0.5000 0.0000 x2
Tl 0.1723 0.0000 0.3024 x4
Tl 0.1805 0.0000 0.7307 x4

Largest 10 diffraction maxima, by angle, 10° ≤ 2θ ≤ 80°:
d (Å)	Position (°2θ)	intensity	h k l
3.180	28.06	66	2 0 2
3.086	28.93	100	0 2 0
3.041	29.37	29	1 1 2
3.026	29.52	27	4 0 -2
2.949	30.31	54	3 1 -2
2.723	32.89	51	6 0 0
2.475	36.30	28	5 1 -2
2.254	39.99	27	3 1 -3
2.215	40.74	49	2 2 2
2.042	44.36	46	6 2 0

***

(2)
The following is a calculated PXRD pattern of Tb2ZrSb3. It was derived from a cell relaxed with PBE, using Cu Kα.
Kinematic intensities with the Lorentz-polarization factor, no thermal factor.

Structure:
Unit cell a=4.3103 b=4.3103 c=18.2375 alpha=90.00 beta=90.00 gamma=90.00
Space group I4/mmm (No. 139)
Symmetry-distinct sites (fractional):
Tb 0.0000 0.0000 0.1680 x4
Zr 0.0000 0.0000 0.5000 x2
Sb 0.0000 0.0000 0.0000 x2
Sb 0.0000 0.0000 0.3381 x4

Largest 10 diffraction maxima, by angle, 10° ≤ 2θ ≤ 80°:
d (Å)	Position (°2θ)	intensity	h k l
3.045	29.33	100	1 1 0
2.784	32.15	2	1 0 5
2.153	41.96	75	2 0 0
1.758	52.02	26	2 0 6
1.524	60.78	8	2 2 0
1.520	60.96	4	0 0 12
1.363	68.91	23	3 1 0
1.360	69.06	11	1 1 12
1.244	76.61	17	3 1 6
1.242	76.73	8	2 0 12

***

(3)
The following is a calculated PXRD pattern of GdAl5. It was derived from a cell relaxed with PBE, using Cu Kα.
Kinematic intensities with the Lorentz-polarization factor, no thermal factor.

Structure:
Unit cell a=4.2451 b=12.4015 c=4.2625 alpha=90.00 beta=90.00 gamma=90.00
Space group Cmmm (No. 65)
Symmetry-distinct sites (fractional):
Gd 0.0000 0.0000 0.0000 x2
Al 0.0000 0.1735 0.5000 x4
Al 0.0000 0.3221 0.0000 x4
Al 0.0000 0.5000 0.5000 x2

Largest 10 diffraction maxima, by angle, 10° ≤ 2θ ≤ 80°:
d (Å)	Position (°2θ)	intensity	h k l
6.201	14.28	40	0 2 0
4.263	20.84	21	0 0 1
4.016	22.13	37	1 1 0
3.513	25.36	25	0 2 1
2.962	30.18	17	1 3 0
2.923	30.58	35	1 1 1
2.432	36.96	100	1 3 1
2.131	42.41	17	0 0 2
2.123	42.59	17	2 0 0
2.067	43.80	15	0 6 0

***

(4)
The following is a calculated PXRD pattern of Sr4As2Br5. It was derived from a cell relaxed with PBE, using Cu Kα.
Kinematic intensities with the Lorentz-polarization factor, no thermal factor.

Structure:
Unit cell a=24.1976 b=4.3435 c=8.7290 alpha=90.00 beta=91.46 gamma=90.00
Space group C2/m (No. 12)
Symmetry-distinct sites (fractional):
Sr 0.0153 0.0000 0.2662 x4
Sr 0.1714 0.5000 0.4158 x4
As 0.0483 0.5000 0.5380 x4
Br 0.0000 0.5000 0.0000 x2
Br 0.1386 0.0000 0.1858 x4
Br 0.2037 0.0000 0.6490 x4

Largest 10 diffraction maxima, by angle, 10° ≤ 2θ ≤ 80°:
d (Å)	Position (°2θ)	intensity	h k l
- - -
End of the crystal structures.
Vestsjællands Amt (West Zealand County, seat Sorø)
- Bjergsted (seat: Svebølle)
- Dianalund Municipality
- Dragsholm Municipality (seat: Fårevejle stationsby)
- Fuglebjerg Municipality
- Gørlev Municipality
- Hashøj Municipality
- Haslev Municipality
- Holbæk Municipality
- Hvidebæk Municipality (seat: Ubby)
- Høng Municipality
- Jernløse Municipality (seat: Regstrup)
- Kalundborg Municipality
- Korsør Municipality
- Nykøbing-Rørvig Municipality (seat: Nykøbing Sjælland)
- Ringsted Municipality
- Skælskør Municipality
- Slagelse Municipality
- Sorø Municipality
- Stenlille Municipality
- Svinninge Municipality
- Tornved Municipality (seat: Jyderup)
- Trundholm Municipality (seat: Højby)
- Tølløse Municipality
Viborg Amt (Viborg County)
- Bjerringbro Municipality
- Fjends Municipality (seat: Stoholm)
- Hanstholm Municipality
- Hvorslev Municipality (seat: Ulstrup)
- Karup Municipality
- Kjellerup Municipality
- Morsø Municipality (seat: Nykøbing Mors)
- Møldrup Municipality
- Sallingsund Municipality (seat: Durup)
- Skive Municipality
- Spøttrup Municipality
- Sundsøre Municipality
- Sydthy Municipality (seat: Hurup)
- Thisted Municipality
- Tjele Municipality (seat: Ørum)
- Viborg Municipality
- Aalestrup Municipality